-- Material --
┌──
Structure and computed powder diffraction line list of VCN2 (a cell relaxed with GGA-PBE; a wavelength of 1.5418 Å).
Peak positions follow from Bragg's law for the DFT cell and can differ from measured ones.

Peak list (12 most intense, 10° ≤ 2θ ≤ 90°, low angle first)
2θ = 17.48°, I 67, (0 0 2); 2θ = 35.39°, I 9, (0 0 4); 2θ = 35.77°, I 22, (1 0 0); 2θ = 36.88°, I 27, (1 0 1); 2θ = 40.07°, I 100, (1 0 2); 2θ = 51.20°, I 49, (1 0 4); 2θ = 64.26°, I 23, (1 1 0); 2θ = 66.69°, I 18, (1 0 6); 2θ = 67.17°, I 10, (1 1 2); 2θ = 75.55°, I 6, (1 1 4); 2θ = 78.49°, I 11, (2 0 2); 2θ = 86.51°, I 9, (2 0 4)

```
VCN2
1.0
2.899 0.000 0.000
-1.449 2.511 0.000
0.000 0.000 10.145
V C N
2 2 4
Direct
0.000 0.000 0.000
0.000 0.000 0.500
0.333 0.667 0.250
0.667 0.333 0.750
0.333 0.667 0.127
0.333 0.667 0.373
0.667 0.333 0.627
0.667 0.333 0.873
```

----------

(1)
Structure and computed X-ray powder pattern of Dy4In5Pd2 (a cell relaxed with PBE; Cu Kα (λ = 1.5418 Å)).

Atomic structure:
Cell: 7.7187 3.6360 9.6957 Å, 90.00 94.56 90.00°
Element x y z (fractional)
1 Dy 0.1798 0.0000 0.3581
2 Dy 0.2261 0.0000 0.9386
3 Dy 0.7739 0.0000 0.0614
4 Dy 0.8202 0.0000 0.6419
5 In 0.1720 0.5000 0.6494
6 In 0.4543 0.5000 0.1777
7 In 0.5000 0.5000 0.5000
8 In 0.5457 0.5000 0.8223
9 In 0.8280 0.5000 0.3506
10 Pd 0.0733 0.5000 0.1383
11 Pd 0.9267 0.5000 0.8617

Principal peaks in the range 2θ from 10° to 90°, in order of falling intensity:
| 2θ (°) | I_rel |
| --- | --- |
| 33.5 | 100.0 |
| 37.9 | 88.2 |
| 32.4 | 86.0 |
| 33.9 | 81.1 |
| 37.3 | 66.4 |
| 35.0 | 45.7 |
| 50.2 | 40.7 |
| 35.7 | 35.3 |
| 34.9 | 33.2 |
| 38.1 | 32.9 |
| 62.6 | 28.3 |
| 30.9 | 28.0 |



(2)
Structure and computed X-ray powder pattern of Dy3In2Pd6 (a cell relaxed with PBE; Cu Kα (λ = 1.5418 Å)).

Atomic structure:
Cell: 8.3810 8.3810 8.3810 Å, 109.47 109.47 109.47°
Element x y z (fractional)
1 Dy 0.0000 0.2936 0.2936
2 Dy 0.0000 0.7064 0.7064
3 Dy 0.2936 0.0000 0.2936
4 Dy 0.2936 0.2936 0.0000
5 Dy 0.7064 0.0000 0.7064
6 Dy 0.7064 0.7064 0.0000
7 In 0.0000 0.0000 0.5000
8 In 0.0000 0.5000 0.0000
9 In 0.5000 0.0000 0.0000
10 In 0.5000 0.5000 0.5000
11 Pd 0.0000 0.3449 0.6551
12 Pd 0.0000 0.6551 0.3449
13 Pd 0.3102 0.6551 0.6551
14 Pd 0.3449 0.0000 0.6551
15 Pd 0.3449 0.3449 0.6898
16 Pd 0.3449 0.6551 0.0000
17 Pd 0.3449 0.6898 0.3449
18 Pd 0.6551 0.0000 0.3449
19 Pd 0.6551 0.3102 0.6551
20 Pd 0.6551 0.3449 0.0000
21 Pd 0.6551 0.6551 0.3102
22 Pd 0.6898 0.3449 0.3449

Principal peaks in the range 2θ from 10° to 90°, in order of falling intensity:
| 2θ (°) | I_rel |
| --- | --- |
| 39.5 | 100.0 |
| 32.0 | 31.5 |
| 71.7 | 27.8 |
| 34.7 | 22.9 |
| 29.2 | 16.4 |
| 63.8 | 15.4 |
| 41.7 | 14.7 |
| 12.9 | 14.7 |
| 37.2 | 14.4 |
| 80.7 | 12.1 |
| 58.8 | 10.9 |
| 51.7 | 10.9 |



Repeat the second record exactly.
Structure and computed X-ray powder pattern of Dy3In2Pd6 (a cell relaxed with PBE; Cu Kα (λ = 1.5418 Å)).

Atomic structure:
Cell: 8.3810 8.3810 8.3810 Å, 109.47 109.47 109.47°
Element x y z (fractional)
1 Dy 0.0000 0.2936 0.2936
2 Dy 0.0000 0.7064 0.7064
3 Dy 0.2936 0.0000 0.2936
4 Dy 0.2936 0.2936 0.0000
5 Dy 0.7064 0.0000 0.7064
6 Dy 0.7064 0.7064 0.0000
7 In 0.0000 0.0000 0.5000
8 In 0.0000 0.5000 0.0000
9 In 0.5000 0.0000 0.0000
10 In 0.5000 0.5000 0.5000
11 Pd 0.0000 0.3449 0.6551
12 Pd 0.0000 0.6551 0.3449
13 Pd 0.3102 0.6551 0.6551
14 Pd 0.3449 0.0000 0.6551
15 Pd 0.3449 0.3449 0.6898
16 Pd 0.3449 0.6551 0.0000
17 Pd 0.3449 0.6898 0.3449
18 Pd 0.6551 0.0000 0.3449
19 Pd 0.6551 0.3102 0.6551
20 Pd 0.6551 0.3449 0.0000
21 Pd 0.6551 0.6551 0.3102
22 Pd 0.6898 0.3449 0.3449
└──

-- Job --
Filter the lines further up: keep the lines with the word "GGA-PBE".

-- Solution --
Structure and computed powder diffraction line list of VCN2 (a cell relaxed with GGA-PBE; a wavelength of 1.5418 Å).